It remains to say how many lines of the calculation results underneath hold the word "Ho6", as a bare number.

/*
# PBE-GGA Na2NbIr2S6, optimized geometry
data_Na2NbIr2S6
_chemical_formula_sum 'Na4 Nb2 Ir4 S12'
_symmetry_space_group_name_H-M 'C 1 2/m 1'
_symmetry_Int_Tables_number 12
_cell_length_a 5.8798
_cell_length_b 11.1243
_cell_length_c 7.1115
_cell_angle_alpha 90.00
_cell_angle_beta 107.22
_cell_angle_gamma 90.00
loop_
_symmetry_equiv_pos_as_xyz
'x,y,z'
'-x,-y,-z'
'-x,y,-z'
'x,-y,z'
'x+1/2,y+1/2,z'
'-x+1/2,-y+1/2,-z'
'-x+1/2,y+1/2,-z'
'x+1/2,-y+1/2,z'
loop_
_atom_site_label
_atom_site_fract_x
_atom_site_fract_y
_atom_site_fract_z
_atom_site_occupancy
Na1 0.0000 0.1614 0.0000 1
Nb1 0.0000 0.0000 0.5000 1
Ir1 0.0000 0.3394 0.5000 1
S1 0.2188 0.5000 0.7064 1
S2 0.2284 0.1798 0.6916 1
# - formation energy from raw total energies (eV per formula unit) = -7.7
# - E_tot (eV per atom) = -5.714

# PBE-GGA BaAcTlCu, optimized geometry
data_BaAcTlCu
_chemical_formula_sum 'Ba4 Ac4 Tl4 Cu4'
_symmetry_space_group_name_H-M 'F -4 3 m'
_symmetry_Int_Tables_number 216
_symmetry_space_group_name_Hall 'F -4 2 3'
_cell_length_a 8.1271
_cell_length_b 8.1271
_cell_length_c 8.1271
_cell_angle_alpha 90.00
_cell_angle_beta 90.00
_cell_angle_gamma 90.00
loop_
_atom_site_label
_atom_site_fract_x
_atom_site_fract_y
_atom_site_fract_z
_atom_site_occupancy
Ba1 0.0000 0.0000 0.0000 1
Ac1 0.0000 0.0000 0.5000 1
Tl1 0.2500 0.2500 0.2500 1
Cu1 0.2500 0.2500 0.7500 1
# - energy of formation (eV per atom) = -0.131
# - E_tot (eV per atom) = -3.255

# PBE-GGA Tb4Nd2HoTh, optimized geometry
data_Tb4Nd2HoTh
_chemical_formula_sum 'Tb4 Nd2 Ho1 Th1'
_symmetry_space_group_name_H-M 'P 4/m m m'
_symmetry_Int_Tables_number 123
_symmetry_space_group_name_Hall '-P 4 2'
_cell_length_a 5.9550
_cell_length_b 5.9550
_cell_length_c 7.3922
_cell_angle_alpha 90.00
_cell_angle_beta 90.00
_cell_angle_gamma 90.00
loop_
_atom_site_label
_atom_site_fract_x
_atom_site_fract_y
_atom_site_fract_z
_atom_site_occupancy
Tb1 0.0000 0.5000 0.2498 1
Nd1 0.0000 0.0000 0.0000 1
Nd2 0.5000 0.5000 0.5000 1
Ho1 0.0000 0.0000 0.5000 1
Th1 0.5000 0.5000 0.0000 1
# - energy of formation (eV per atom) = 0.128
# - E_tot (eV per atom) = -4.879

# PBE-GGA LaPmCd2, optimized geometry
data_LaPmCd2
_chemical_formula_sum 'La1 Pm1 Cd2'
_symmetry_space_group_name_H-M 'P 4/m m m'
_symmetry_Int_Tables_number 123
_symmetry_space_group_name_Hall '-P 4 2'
_cell_length_a 3.8679
_cell_length_b 3.8679
_cell_length_c 7.8330
_cell_angle_alpha 90.00
_cell_angle_beta 90.00
_cell_angle_gamma 90.00
loop_
_atom_site_label
_atom_site_fract_x
_atom_site_fract_y
_atom_site_fract_z
_atom_site_occupancy
La1 0.0000 0.0000 0.0000 1
Pm1 0.0000 0.0000 0.5000 1
Cd1 0.5000 0.5000 0.2634 1
# - energy of formation (eV per atom) = -0.321
# - E_tot (eV per atom) = -3.199

# PBE-GGA Pu2SnPd, optimized geometry
data_Pu2SnPd
_chemical_formula_sum 'Pu2 Sn1 Pd1'
_symmetry_space_group_name_H-M 'P 4/m m m'
_symmetry_Int_Tables_number 123
_symmetry_space_group_name_Hall '-P 4 2'
_cell_length_a 3.9754
_cell_length_b 3.9754
_cell_length_c 5.9066
_cell_angle_alpha 90.00
_cell_angle_beta 90.00
_cell_angle_gamma 90.00
loop_
_atom_site_label
_atom_site_fract_x
_atom_site_fract_y
_atom_site_fract_z
_atom_site_occupancy
Pu1 0.0000 0.0000 0.2398 1
Sn1 0.5000 0.5000 0.5000 1
Pd1 0.5000 0.5000 0.0000 1
# - energy of formation (eV per atom) = -0.395
# - E_tot (eV per atom) = -9.860

# PBE-GGA Pr4Ho3Sn4, optimized geometry
data_Pr4Ho3Sn4
_chemical_formula_sum 'Pr8 Ho6 Sn8'
_symmetry_space_group_name_H-M 'I m m m'
_symmetry_Int_Tables_number 71
_symmetry_space_group_name_Hall '-I 2 2'
_cell_length_a 3.5729
_cell_length_b 9.6431
_cell_length_c 19.2461
_cell_angle_alpha 90.00
_cell_angle_beta 90.00
_cell_angle_gamma 90.00
loop_
_atom_site_label
_atom_site_fract_x
_atom_site_fract_y
_atom_site_fract_z
_atom_site_occupancy
Pr1 0.0000 0.1749 0.1632 1
Ho1 0.0000 0.0000 0.4105 1
Ho2 0.0000 0.5000 0.5000 1
Sn1 0.0000 0.2792 0.0000 1
Sn2 0.0000 0.5000 0.2216 1
# - energy of formation (eV per atom) = -0.555
# - E_tot (eV per atom) = -4.997

# PBE-GGA Pm5Sm2Y6, optimized geometry
*/

1